## Source
........
Computed X-ray diffraction stick pattern
Compound: Ta8H
Radiation: copper Kα
Structure: DFT lattice parameters and positions (GGA-PBE)
Lines closer than 0.1° are merged.

Structural model:
```
Ta8H
1.0
5.821 0.000 0.000
-2.910 5.041 0.000
0.000 0.000 5.169
Ta H
8 1
Cartesian
0.000 1.710 1.275 Ta
-1.429 4.186 1.275 Ta
0.000 3.361 3.862 Ta
1.481 0.855 3.894 Ta
1.429 4.186 1.275 Ta
2.910 1.680 1.307 Ta
4.340 0.855 3.894 Ta
2.910 3.331 3.894 Ta
0.000 0.000 2.585 H
```

Peak list (10 most intense, 2θ from 10° to 90°, in order of rising 2θ)
2theta  intensity
34.71  322
35.62  224
39.79  1000
50.58  169
63.98  167
65.63  232
74.88  211
78.05  142
84.19  40
85.78  38



Computed X-ray diffraction stick pattern
Compound: TaH3
Radiation: copper Kα
Structure: DFT lattice parameters and positions (GGA-PBE)
Lines closer than 0.1° are merged.

Structural model:
```
TaH3
1.0
5.788 0.000 0.000
-2.894 5.013 0.000
0.000 0.000 5.486
Ta H
6 18
Cartesian
-0.999 1.731 1.372 Ta
-1.895 3.282 4.115 Ta
1.998 0.000 1.372 Ta
0.999 1.731 4.115 Ta
3.790 0.000 4.115 Ta
1.895 3.282 1.372 Ta
0.000 0.000 1.372 H
0.000 0.000 4.115 H
-0.662 2.007 3.225 H
-1.487 3.436 0.482 H
0.662 2.007 0.482 H
-0.825 4.582 3.225 H
0.000 3.342 1.796 H
0.000 3.342 4.539 H
2.069 0.430 5.004 H
1.407 1.576 2.261 H
1.487 3.436 3.225 H
0.825 4.582 0.482 H
2.894 1.671 0.947 H
2.894 1.671 3.690 H
3.719 0.430 2.261 H
2.232 3.006 5.004 H
4.381 1.576 5.004 H
3.556 3.006 2.261 H
```

Peak list (10 most intense, 2θ from 10° to 90°, in order of rising 2θ)
2theta  intensity
30.90  233
32.65  274
35.06  1000
45.56  160
54.95  188
59.82  223
65.40  221
66.87  153
76.92  39
85.59  80



Computed X-ray diffraction stick pattern
Compound: Ta4H
Radiation: copper Kα
Structure: DFT lattice parameters and positions (GGA-PBE)
Lines closer than 0.1° are merged.

Structural model:
```
Ta4H
1.0
4.249 0.000 0.000
0.000 4.249 0.000
0.000 0.000 4.249
Ta H
4 1
Cartesian
0.000 0.000 0.000 Ta
0.000 2.124 2.124 Ta
2.124 0.000 2.124 Ta
2.124 2.124 0.000 Ta
2.124 2.124 2.124 H
```

Peak list (5 most intense, 2θ from 10° to 90°, in order of rising 2θ)
2theta  intensity
36.64  1000
42.56  500
61.76  336
74.00  395
77.89  115



Computed X-ray diffraction stick pattern
Compound: TaTcH4
Radiation: copper Kα
Structure: DFT lattice parameters and positions (GGA-PBE)
Lines closer than 0.1° are merged.

Structural model:
```
TaTcH4
1.0
-2.214 2.214 4.445
2.214 -2.214 4.445
2.214 2.214 -4.445
Ta Tc H
2 2 8
Cartesian
2.214 1.107 1.111 Ta
0.000 1.107 3.333 Ta
2.214 -1.107 3.333 Tc
0.000 3.321 1.111 Tc
1.058 0.000 0.000 H
3.371 0.000 0.000 H
1.107 2.165 -2.222 H
1.107 -0.049 2.222 H
1.058 2.214 0.000 H
1.156 0.000 4.445 H
-1.107 2.264 2.222 H
1.107 2.264 2.222 H
```

Peak list (10 most intense, 2θ from 10° to 90°, in order of rising 2θ)
2theta  intensity
22.43  112
35.06  1000
40.60  161
40.75  318
58.88  228
59.00  113
70.29  131
70.51  260
74.08  111
88.28  37



Computed X-ray diffraction stick pattern
Compound: TaTiH4
Radiation: copper Kα
Structure: DFT lattice parameters and positions (GGA-PBE)
Lines closer than 0.1° are merged.

Structural model:
```
TaTiH4
1.0
-2.235 2.235 4.452
2.235 -2.235 4.452
2.235 2.235 -4.452
Ta Ti H
2 2 8
Cartesian
2.235 1.117 1.113 Ta
0.000 1.117 3.339 Ta
2.235 -1.117 3.339 Ti
0.000 3.352 1.113 Ti
1.095 0.000 0.000 H
3.374 0.000 0.000 H
1.117 2.212 -2.226 H
1.117 -0.022 2.226 H
1.095 2.235 0.000 H
1.139 0.000 4.452 H
-1.117 2.257 2.226 H
1.117 2.257 2.226 H
```

Peak list (10 most intense, 2θ from 10° to 90°, in order of rising 2θ)
2theta  intensity
22.26  501
34.81  1000
36.34  150
40.36  317
40.53  157
46.57  155
........

## Job
Repeat the lines further above from the one with "5.821 0.000" to the one with "88.28" verbatim, please.

## Solution
5.821 0.000 0.000
-2.910 5.041 0.000
0.000 0.000 5.169
Ta H
8 1
Cartesian
0.000 1.710 1.275 Ta
-1.429 4.186 1.275 Ta
0.000 3.361 3.862 Ta
1.481 0.855 3.894 Ta
1.429 4.186 1.275 Ta
2.910 1.680 1.307 Ta
4.340 0.855 3.894 Ta
2.910 3.331 3.894 Ta
0.000 0.000 2.585 H
```

Peak list (10 most intense, 2θ from 10° to 90°, in order of rising 2θ)
2theta  intensity
34.71  322
35.62  224
39.79  1000
50.58  169
63.98  167
65.63  232
74.88  211
78.05  142
84.19  40
85.78  38



Computed X-ray diffraction stick pattern
Compound: TaH3
Radiation: copper Kα
Structure: DFT lattice parameters and positions (GGA-PBE)
Lines closer than 0.1° are merged.

Structural model:
```
TaH3
1.0
5.788 0.000 0.000
-2.894 5.013 0.000
0.000 0.000 5.486
Ta H
6 18
Cartesian
-0.999 1.731 1.372 Ta
-1.895 3.282 4.115 Ta
1.998 0.000 1.372 Ta
0.999 1.731 4.115 Ta
3.790 0.000 4.115 Ta
1.895 3.282 1.372 Ta
0.000 0.000 1.372 H
0.000 0.000 4.115 H
-0.662 2.007 3.225 H
-1.487 3.436 0.482 H
0.662 2.007 0.482 H
-0.825 4.582 3.225 H
0.000 3.342 1.796 H
0.000 3.342 4.539 H
2.069 0.430 5.004 H
1.407 1.576 2.261 H
1.487 3.436 3.225 H
0.825 4.582 0.482 H
2.894 1.671 0.947 H
2.894 1.671 3.690 H
3.719 0.430 2.261 H
2.232 3.006 5.004 H
4.381 1.576 5.004 H
3.556 3.006 2.261 H
```

Peak list (10 most intense, 2θ from 10° to 90°, in order of rising 2θ)
2theta  intensity
30.90  233
32.65  274
35.06  1000
45.56  160
54.95  188
59.82  223
65.40  221
66.87  153
76.92  39
85.59  80



Computed X-ray diffraction stick pattern
Compound: Ta4H
Radiation: copper Kα
Structure: DFT lattice parameters and positions (GGA-PBE)
Lines closer than 0.1° are merged.

Structural model:
```
Ta4H
1.0
4.249 0.000 0.000
0.000 4.249 0.000
0.000 0.000 4.249
Ta H
4 1
Cartesian
0.000 0.000 0.000 Ta
0.000 2.124 2.124 Ta
2.124 0.000 2.124 Ta
2.124 2.124 0.000 Ta
2.124 2.124 2.124 H
```

Peak list (5 most intense, 2θ from 10° to 90°, in order of rising 2θ)
2theta  intensity
36.64  1000
42.56  500
61.76  336
74.00  395
77.89  115



Computed X-ray diffraction stick pattern
Compound: TaTcH4
Radiation: copper Kα
Structure: DFT lattice parameters and positions (GGA-PBE)
Lines closer than 0.1° are merged.

Structural model:
```
TaTcH4
1.0
-2.214 2.214 4.445
2.214 -2.214 4.445
2.214 2.214 -4.445
Ta Tc H
2 2 8
Cartesian
2.214 1.107 1.111 Ta
0.000 1.107 3.333 Ta
2.214 -1.107 3.333 Tc
0.000 3.321 1.111 Tc
1.058 0.000 0.000 H
3.371 0.000 0.000 H
1.107 2.165 -2.222 H
1.107 -0.049 2.222 H
1.058 2.214 0.000 H
1.156 0.000 4.445 H
-1.107 2.264 2.222 H
1.107 2.264 2.222 H
```

Peak list (10 most intense, 2θ from 10° to 90°, in order of rising 2θ)
2theta  intensity
22.43  112
35.06  1000
40.60  161
40.75  318
58.88  228
59.00  113
70.29  131
70.51  260
74.08  111
88.28  37